Material.
=====
Entry 1:
{
  "formula": "C26H41CeN2O2P2",
  "method": "ωB97M-V/def2-TZVPD",
  "elements": ["C", "C", "N", "C", "C", "C", "C", "P", "Ce", "P", "C", "C", "C", "C", "C", "C", "C", "O", "O", "H", "H", "H", "C", "C", "H", "H", "H", "H", "C", "C", "H", "H", "H", "H", "H", "H", "H", "H", "H", "H", "H", "H", "H", "H", "H", "H", "H", "H", "H", "H", "H", "H", "C", "N", "C", "C", "C", "C", "C", "C", "C", "C", "H", "H", "H", "H", "H", "H", "H", "H", "H", "H", "H", "H"],
  "xyz": [[3.3551, 2.2521, -1.3838], [2.2371, 1.7529, -0.7018], [1.8649, 0.4416, -0.8727], [2.4721, -0.3189, -1.8160], [3.5239, 0.1808, -2.5737], [3.9988, 1.4683, -2.3319], [1.4148, 2.6939, 0.0811], [0.2132, 2.1824, 1.3545], [0.2892, -0.5811, 0.7793], [0.2534, -2.1370, -1.5801], [2.0156, -1.7488, -2.0442], [-2.0117, -0.7072, 1.2694], [-1.8376, -1.0345, 2.6148], [-2.9114, -1.6853, 3.2761], [-4.1045, -1.9044, 2.5874], [-4.2627, -1.4865, 1.2548], [-3.2001, -0.8815, 0.5695], [-0.0069, 3.5714, -1.8092], [-0.5759, 1.4583, -2.9531], [3.6584, 3.2792, -1.1753], [3.9711, -0.4629, -3.3309], [4.8419, 1.8672, -2.8939], [1.1379, 2.3610, 2.9221], [-0.9689, 3.5592, 1.4071], [2.1123, -1.9993, -3.1128], [2.6765, -2.4335, -1.4876], [0.6436, 3.2759, -0.9304], [1.9892, 3.5666, 0.4318], [0.2880, -3.9401, -1.2707], [-0.5481, -1.9942, -3.2062], [-0.9280, -0.7841, 3.1859], [-2.7940, -2.0180, 4.3112], [-4.9340, -2.4009, 3.0951], [-5.2190, -1.6418, 0.7481], [-3.2989, -0.5536, -0.4691], [-1.9707, 1.2044, -2.0272], [-0.9708, 1.6337, -3.8318], [-0.3507, 2.4249, -2.5164], [0.4609, 4.2693, -2.2937], [-2.5719, 1.1041, -1.4924], [1.3238, 3.4322, 3.0975], [0.5335, 1.9558, 3.7498], [2.0925, 1.8141, 2.8803], [-0.5898, 4.3534, 2.0682], [-1.1277, 3.9524, 0.3915], [-1.9295, 3.1866, 1.7931], [-0.0821, -2.6775, -3.9357], [-1.6132, -2.2510, -3.0987], [-0.4748, -0.9514, -3.5532], [0.8335, -4.4648, -2.0717], [0.7320, -4.1807, -0.2881], [-0.7521, -4.3020, -1.2429], [-0.9446, -5.6005, 1.7190], [0.3652, -4.9495, 1.8130], [1.4255, -5.9257, 2.0349], [0.3625, -3.8395, 2.7623], [1.6580, -3.0672, 2.7771], [2.7101, -3.5026, 3.5894], [3.9666, -2.8912, 3.5199], [4.1712, -1.7994, 2.6733], [3.0910, -1.3045, 1.9024], [1.8420, -1.9235, 1.9865], [-0.8798, -6.4324, 1.0022], [-1.6982, -4.8787, 1.3684], [-1.2739, -6.0063, 2.6962], [2.4067, -5.4739, 1.8545], [1.4080, -6.3296, 3.0655], [1.2755, -6.7593, 1.3345], [-0.4804, -3.1817, 2.4943], [0.1522, -4.2252, 3.7813], [2.5613, -4.3474, 4.2653], [4.7898, -3.2679, 4.1242], [5.1537, -1.3225, 2.6007], [3.2381, -0.4341, 1.2358]],
=====

Assignment.
Now say how many lines of the calculation results above hold the word "Ce", as a bare number.

Response.
1